(Exercise)
Your job: give back all of the block below character by character.
(Entries)
~~~
Record 1
{"formula": "C3H5NO2", "method": "ωB97M-V with the def2-TZVPD basis set", "e_homo_ev": -10.5836, "total_charge": 0, "energy_ev": -8776.7747, "max_force_ev_per_a": 0.661, "e_above_lowest_kcal_mol": 21.22, "homo_lumo_gap_ev": 11.47, "symbols": ["H", "H", "H", "O", "H", "N", "C", "C", "O", "H", "C"], "positions_angstrom": [[-1.179, 1.137, 0.171], [-2.453, -0.051, -0.240], [1.905, 0.169, 1.732], [-0.507, -1.944, -0.728], [2.395, 1.052, -0.382], [1.547, 0.498, -0.339], [-0.533, -0.911, -0.136], [-1.423, 0.263, -0.433], [0.256, -0.755, 1.033], [-1.334, 0.508, -1.493], [1.326, 0.035, 0.815]], "mulliken_charge": [0.290, 0.307, 0.382, -0.490, 0.229, -0.576, 0.680, -0.813, -0.338, 0.262, 0.066]}

=====

Record 2
{"formula": "C17H14BrIrN4O", "method": "ωB97M-V with the def2-TZVPD basis set", "e_homo_ev": [-15.8040, -15.8039], "total_charge": 2, "energy_ev": -98730.9754, "max_force_ev_per_a": 0.694, "e_above_lowest_kcal_mol": 0.00, "homo_lumo_gap_ev": [7.43, 7.43], "symbols": ["N", "C", "C", "C", "C", "H", "Br", "C", "C", "C", "H", "C", "H", "C", "H", "H", "H", "C", "N", "H", "H", "N", "H", "C", "C", "C", "Ir", "C", "C", "H", "C", "H", "H", "N", "H", "O", "C", "H"], "positions_angstrom": [[0.139, -1.058, 1.063], [0.658, -2.931, 2.439], [-3.999, -1.396, -0.846], [-3.796, 0.903, -1.491], [3.450, 2.386, -1.052], [3.119, -1.255, 0.057], [0.033, -3.116, 5.191], [0.990, 2.324, -1.562], [-1.477, 1.901, -1.708], [-2.423, 0.778, -1.396], [-4.592, -2.274, -0.635], [0.679, -2.280, 1.228], [5.334, -0.149, 0.160], [-0.483, -1.027, 3.354], [3.475, 3.412, -1.394], [1.096, -3.915, 2.533], [-4.229, 1.849, -1.784], [-4.593, -0.195, -1.216], [-1.854, -0.387, -1.016], [-1.740, 2.818, -1.178], [-0.861, 0.535, 1.925], [-0.121, 1.459, -1.379], [1.130, -2.746, 0.356], [0.072, -2.292, 3.530], [4.473, 0.402, -0.191], [2.260, 1.700, -1.074], [0.175, -0.240, -0.774], [-2.629, -1.453, -0.747], [-0.438, -0.442, 2.109], [-1.498, 2.136, -2.776], [4.583, 1.721, -0.595], [-5.670, -0.118, -1.292], [5.538, 2.227, -0.562], [2.147, 0.417, -0.671], [-2.119, -2.363, -0.460], [0.881, 3.392, -2.079], [3.237, -0.222, -0.240], [-0.947, -0.503, 4.177]], "mulliken_charge": [-0.208, -0.667, -0.805, -0.790, -0.554, 0.397, -0.012, -0.105, -0.558, 0.456, 0.412, -0.210, 0.410, -0.670, 0.481, 0.472, 0.455, -0.221, -0.150, 0.423, 0.445, -0.079, 0.537, 0.227, -0.728, 0.771, 0.793, 0.070, -0.082, 0.391, -0.271, 0.458, 0.475, -0.208, 0.465, -0.505, 0.218, 0.466]}

=====

Record 3
~~~
(Completed)
Record 1
{"formula": "C3H5NO2", "method": "ωB97M-V with the def2-TZVPD basis set", "e_homo_ev": -10.5836, "total_charge": 0, "energy_ev": -8776.7747, "max_force_ev_per_a": 0.661, "e_above_lowest_kcal_mol": 21.22, "homo_lumo_gap_ev": 11.47, "symbols": ["H", "H", "H", "O", "H", "N", "C", "C", "O", "H", "C"], "positions_angstrom": [[-1.179, 1.137, 0.171], [-2.453, -0.051, -0.240], [1.905, 0.169, 1.732], [-0.507, -1.944, -0.728], [2.395, 1.052, -0.382], [1.547, 0.498, -0.339], [-0.533, -0.911, -0.136], [-1.423, 0.263, -0.433], [0.256, -0.755, 1.033], [-1.334, 0.508, -1.493], [1.326, 0.035, 0.815]], "mulliken_charge": [0.290, 0.307, 0.382, -0.490, 0.229, -0.576, 0.680, -0.813, -0.338, 0.262, 0.066]}

=====

Record 2
{"formula": "C17H14BrIrN4O", "method": "ωB97M-V with the def2-TZVPD basis set", "e_homo_ev": [-15.8040, -15.8039], "total_charge": 2, "energy_ev": -98730.9754, "max_force_ev_per_a": 0.694, "e_above_lowest_kcal_mol": 0.00, "homo_lumo_gap_ev": [7.43, 7.43], "symbols": ["N", "C", "C", "C", "C", "H", "Br", "C", "C", "C", "H", "C", "H", "C", "H", "H", "H", "C", "N", "H", "H", "N", "H", "C", "C", "C", "Ir", "C", "C", "H", "C", "H", "H", "N", "H", "O", "C", "H"], "positions_angstrom": [[0.139, -1.058, 1.063], [0.658, -2.931, 2.439], [-3.999, -1.396, -0.846], [-3.796, 0.903, -1.491], [3.450, 2.386, -1.052], [3.119, -1.255, 0.057], [0.033, -3.116, 5.191], [0.990, 2.324, -1.562], [-1.477, 1.901, -1.708], [-2.423, 0.778, -1.396], [-4.592, -2.274, -0.635], [0.679, -2.280, 1.228], [5.334, -0.149, 0.160], [-0.483, -1.027, 3.354], [3.475, 3.412, -1.394], [1.096, -3.915, 2.533], [-4.229, 1.849, -1.784], [-4.593, -0.195, -1.216], [-1.854, -0.387, -1.016], [-1.740, 2.818, -1.178], [-0.861, 0.535, 1.925], [-0.121, 1.459, -1.379], [1.130, -2.746, 0.356], [0.072, -2.292, 3.530], [4.473, 0.402, -0.191], [2.260, 1.700, -1.074], [0.175, -0.240, -0.774], [-2.629, -1.453, -0.747], [-0.438, -0.442, 2.109], [-1.498, 2.136, -2.776], [4.583, 1.721, -0.595], [-5.670, -0.118, -1.292], [5.538, 2.227, -0.562], [2.147, 0.417, -0.671], [-2.119, -2.363, -0.460], [0.881, 3.392, -2.079], [3.237, -0.222, -0.240], [-0.947, -0.503, 4.177]], "mulliken_charge": [-0.208, -0.667, -0.805, -0.790, -0.554, 0.397, -0.012, -0.105, -0.558, 0.456, 0.412, -0.210, 0.410, -0.670, 0.481, 0.472, 0.455, -0.221, -0.150, 0.423, 0.445, -0.079, 0.537, 0.227, -0.728, 0.771, 0.793, 0.070, -0.082, 0.391, -0.271, 0.458, 0.475, -0.208, 0.465, -0.505, 0.218, 0.466]}

=====

Record 3